### Listing
Entry 1:
{"formula": "GdGa2", "functional": "r2SCAN", "state": "optimized geometry", "ef_ev_per_atom": -0.74, "spacegroup": "P6/mmm", "lattice_angstrom": [[4.198, 0.000, 0.000], [-2.099, 3.636, 0.000], [0.000, 0.000, 4.180]], "species": ["Gd", "Ga", "Ga"], "frac_coords": [[0.000, 0.000, 0.000], [0.667, 0.333, 0.500], [0.333, 0.667, 0.500]]}

***

Entry 2:
{"formula": "YAg2", "functional": "r2SCAN", "state": "optimized geometry", "ef_ev_per_atom": -0.32, "spacegroup": "I4/mmm", "lattice_angstrom": [[3.720, 0.000, 0.000], [0.000, 3.720, 0.000], [-1.860, -1.860, 4.608]], "species": ["Y", "Ag", "Ag"], "frac_coords": [[0.000, 0.000, 0.000], [0.671, 0.671, 0.341], [0.329, 0.329, 0.659]]}

***

Entry 3:
{"formula": "TlPF6", "functional": "r2SCAN", "state": "optimized geometry", "ef_ev_per_atom": -2.65, "spacegroup": "Pa-3", "lattice_angstrom": [[7.737, 0.000, 0.000], [0.000, 7.737, 0.000], [0.000, 0.000, 7.737]], "species": ["Tl", "Tl", "Tl", "Tl", "P", "P", "P", "P", "F", "F", "F", "F", "F", "F", "F", "F", "F", "F", "F", "F", "F", "F", "F", "F", "F", "F", "F", "F", "F", "F", "F", "F"], "frac_coords": [[0.500, 0.500, 0.500], [0.000, 0.500, 0.000], [0.000, 0.000, 0.500], [0.500, 0.000, 0.000], [0.000, 0.000, 0.000], [0.500, 0.000, 0.500], [0.500, 0.500, 0.000], [0.000, 0.500, 0.500], [0.137, 0.142, 0.930], [0.930, 0.137, 0.142], [0.142, 0.930, 0.137], [0.358, 0.070, 0.637], [0.430, 0.363, 0.858], [0.858, 0.430, 0.363], [0.570, 0.863, 0.642], [0.070, 0.637, 0.358], [0.642, 0.570, 0.863], [0.637, 0.358, 0.070], [0.863, 0.642, 0.570], [0.363, 0.858, 0.430], [0.863, 0.858, 0.070], [0.070, 0.863, 0.858], [0.858, 0.070, 0.863], [0.642, 0.930, 0.363], [0.570, 0.637, 0.142], [0.142, 0.570, 0.637], [0.430, 0.137, 0.358], [0.930, 0.363, 0.642], [0.358, 0.430, 0.137], [0.363, 0.642, 0.930], [0.137, 0.358, 0.430], [0.637, 0.142, 0.570]]}


First-principles (PBE-GGA) data for a relaxed LiSiBiO4 crystal, as listed in the Materials Project.

Lattice parameters (Å, degrees): 6.4079 5.8533 11.3995 64.36 90.00 90.00
Fractional positions:
Li: 0.3677 0.5821 0.5633
Li: 0.8677 0.4179 0.9367
Li: 0.1323 0.5821 0.0633
Li: 0.6323 0.4179 0.4367
Si: 0.6994 0.8084 0.6327
Si: 0.8006 0.8084 0.1326
Si: 0.1994 0.1916 0.8674
Si: 0.3006 0.1916 0.3674
Bi: 0.6653 0.9675 0.8583
Bi: 0.8347 0.9675 0.3583
Bi: 0.1653 0.0325 0.6417
Bi: 0.3347 0.0325 0.1417
O: 0.2971 0.9088 0.9709
O: 0.2029 0.9088 0.4709
O: 0.8529 0.7110 0.7602
O: 0.4698 0.8269 0.6917
O: 0.6866 0.6521 0.5408
O: 0.6471 0.7110 0.2602
O: 0.0302 0.8269 0.1917
O: 0.1866 0.3479 0.9592
O: 0.8134 0.6521 0.0408
O: 0.9698 0.1731 0.8083
O: 0.3529 0.2890 0.7398
O: 0.3134 0.3479 0.4592
O: 0.5302 0.1731 0.3083
O: 0.1471 0.2890 0.2398
O: 0.7971 0.0912 0.5291
O: 0.7029 0.0912 0.0291

Output
Formation enthalpy at 0 K   -2.45 eV/atom
Symmetry   No. 14
Excess energy over the best structure of this formula in the dataset   7.0 kJ per mole of atoms
Uncorrected energy   -181.7 eV/cell
Calculated volume   385.5 Å³/cell


Entry 1:
28
Lattice="8.123 0.000 0.000 0.000 7.277 0.000 0.000 0.000 11.647" Properties=species:S:1:pos:R:3 comment="PBE Sm2MgS4, relaxed" formation_enthalpy_0k_mev_per_atom=-1956 density_kg_m3=4373 energy_corrected_mp2020_ev_per_cell=-165.10 pbc="T T T"
Sm 0.284 1.819 2.194
Sm 0.653 5.457 5.493
Sm 3.408 1.819 11.317
Sm 3.778 5.457 8.018
Sm 4.345 1.819 3.629
Sm 4.715 5.457 0.330
Sm 7.470 1.819 6.154
Sm 7.840 5.457 9.453
Mg 1.519 5.457 1.018
Mg 2.543 1.819 6.842
Mg 5.581 5.457 4.805
Mg 6.604 1.819 10.629
S 0.772 1.819 11.070
S 1.116 3.651 7.632
S 1.116 7.264 7.632
S 1.723 1.819 4.554
S 2.339 5.457 10.377
S 2.945 0.012 1.809
S 2.945 3.626 1.809
S 3.290 5.457 5.247
S 4.834 1.819 6.400
S 5.178 3.651 9.838
S 5.178 7.264 9.838
S 5.785 1.819 1.270
S 6.400 5.457 7.093
S 7.007 0.012 4.015
S 7.007 3.626 4.015
S 7.351 5.457 0.577


Entry 2:
14

### Assignment
Your job: copy the rows above from the line with "0.8084 0.1326" to the end with every line break kept.

### Result
Si: 0.8006 0.8084 0.1326
Si: 0.1994 0.1916 0.8674
Si: 0.3006 0.1916 0.3674
Bi: 0.6653 0.9675 0.8583
Bi: 0.8347 0.9675 0.3583
Bi: 0.1653 0.0325 0.6417
Bi: 0.3347 0.0325 0.1417
O: 0.2971 0.9088 0.9709
O: 0.2029 0.9088 0.4709
O: 0.8529 0.7110 0.7602
O: 0.4698 0.8269 0.6917
O: 0.6866 0.6521 0.5408
O: 0.6471 0.7110 0.2602
O: 0.0302 0.8269 0.1917
O: 0.1866 0.3479 0.9592
O: 0.8134 0.6521 0.0408
O: 0.9698 0.1731 0.8083
O: 0.3529 0.2890 0.7398
O: 0.3134 0.3479 0.4592
O: 0.5302 0.1731 0.3083
O: 0.1471 0.2890 0.2398
O: 0.7971 0.0912 0.5291
O: 0.7029 0.0912 0.0291

Output
Formation enthalpy at 0 K   -2.45 eV/atom
Symmetry   No. 14
Excess energy over the best structure of this formula in the dataset   7.0 kJ per mole of atoms
Uncorrected energy   -181.7 eV/cell
Calculated volume   385.5 Å³/cell


Entry 1:
28
Lattice="8.123 0.000 0.000 0.000 7.277 0.000 0.000 0.000 11.647" Properties=species:S:1:pos:R:3 comment="PBE Sm2MgS4, relaxed" formation_enthalpy_0k_mev_per_atom=-1956 density_kg_m3=4373 energy_corrected_mp2020_ev_per_cell=-165.10 pbc="T T T"
Sm 0.284 1.819 2.194
Sm 0.653 5.457 5.493
Sm 3.408 1.819 11.317
Sm 3.778 5.457 8.018
Sm 4.345 1.819 3.629
Sm 4.715 5.457 0.330
Sm 7.470 1.819 6.154
Sm 7.840 5.457 9.453
Mg 1.519 5.457 1.018
Mg 2.543 1.819 6.842
Mg 5.581 5.457 4.805
Mg 6.604 1.819 10.629
S 0.772 1.819 11.070
S 1.116 3.651 7.632
S 1.116 7.264 7.632
S 1.723 1.819 4.554
S 2.339 5.457 10.377
S 2.945 0.012 1.809
S 2.945 3.626 1.809
S 3.290 5.457 5.247
S 4.834 1.819 6.400
S 5.178 3.651 9.838
S 5.178 7.264 9.838
S 5.785 1.819 1.270
S 6.400 5.457 7.093
S 7.007 0.012 4.015
S 7.007 3.626 4.015
S 7.351 5.457 0.577


Entry 2:
14